Kathleen Ryan Cox
Experimental Artist
by Rachel Perry
photo by George Bredewater
To view paintings by Kathleen Ryan Cox is to see multiple techniques and subjects. Primarily a watercolorist, Mrs. Cox also paints portraits, still lifes and landscapes using oils and pastels. She’s proficient at all of them, and resists the notion of being tied to one subject and/or method of expressing herself. “When I see something I really like, that’s when I want to paint,” she explained. “I think that’s why I paint so many different things. Because I really don’t know what it will be that hits me.”
Her open-minded approach is reflected, or perhaps a result of, numerous workshops and classes from a long list of teachers in various locations. After completing her formal education at Stephens College (A.A. in Fine Arts) and the University of Missouri (B.S. in Elementary Education), she continued to take art classes at Baldwin Wallace (Ohio), Kent State University and the Cleveland Institute of Art. She’s painted with Peter Paul Dubanowitz (watercolorist); Fred Leach (American Watercolor Society Fellow) in Bay Village, Ohio; Henry Bell; Betty Lou Schlemm (American Watercolor Society Fellow) in Rockport, Maine; Ted Goerschner (oils) in California; and Mary Whyte in Myrtle Beach. “I get to take art classes if they’re near golf courses,” she laughs.
........
[1]
Calculated powder XRD pattern of KSn2P3O12 for a wavelength of 1.5418 Å, from a cell relaxed with GGA-PBE.
Kinematic intensities with the Lorentz-polarization factor, no thermal factor.

Main lines, most intense first (2θ = 5–70°):
two_theta, I (rel.)
30.76, 100
20.91, 89
19.13, 48
23.73, 40
28.48, 34
36.63, 32
48.56, 31
62.34, 23

Cell and atoms:
```
KSn2P3O12
1.0
4.249 2.453 7.970
-4.249 2.453 7.970
0.000 -4.906 7.970
K Sn P O
2 4 6 24
Direct
0.000 0.000 0.000
0.500 0.500 0.500
0.149 0.149 0.149
0.346 0.346 0.346
0.654 0.654 0.654
0.851 0.851 0.851
0.040 0.460 0.749
0.251 0.960 0.540
0.460 0.749 0.040
0.540 0.251 0.960
0.749 0.040 0.460
0.960 0.540 0.251
0.020 0.619 0.776
0.106 0.881 0.735
0.119 0.265 0.894
0.151 0.527 0.216
0.185 0.471 0.545
0.216 0.151 0.527
0.224 0.980 0.381
0.265 0.894 0.119
0.381 0.224 0.980
0.455 0.815 0.529
0.471 0.545 0.185
0.473 0.784 0.849
0.527 0.216 0.151
0.529 0.455 0.815
0.545 0.185 0.471
0.619 0.776 0.020
0.735 0.106 0.881
0.776 0.020 0.619
0.784 0.849 0.473
0.815 0.529 0.455
0.849 0.473 0.784
0.881 0.735 0.106
0.894 0.119 0.265
0.980 0.381 0.224
```


[2]
Calculated powder XRD pattern of ZrTi2Ag2Te6 for a wavelength of 1.5418 Å, from a cell relaxed with GGA-PBE.
Kinematic intensities with the Lorentz-polarization factor, no thermal factor.

Main lines, most intense first (2θ = 5–70°):
two_theta, I (rel.)
29.95, 100
32.45, 47
42.44, 39
46.94, 23
38.92, 20
47.35, 20
28.00, 15
15.37, 13

Cell and atoms:
```
ZrTi2Ag2Te6
1.0
3.365 -5.853 0.000
3.365 5.853 0.000
-1.373 0.000 7.676
Zr Ti Ag Te
1 2 2 6
Direct
0.000 0.000 0.000
0.335 0.665 0.000
0.665 0.335 0.000
0.125 0.875 0.500
0.875 0.125 0.500
0.043 0.394 0.227
0.301 0.301 0.771
0.394 0.043 0.227
0.606 0.957 0.773
0.699 0.699 0.229
0.957 0.606 0.773
```


[3]
Calculated powder XRD pattern of NaLiGa2Si4O12 for a wavelength of 1.5418 Å, from a cell relaxed with GGA-PBE.
Kinematic intensities with the Lorentz-polarization factor, no thermal factor.

Main lines, most intense first (2θ = 5–70°):
two_theta, I (rel.)
29.67, 100
13.97, 70
30.98, 58
19.84, 36
36.77, 35
35.62, 35
35.20, 32
24.95, 23

Cell and atoms:
```
NaLiGa2Si4O12
1.0
4.857 -4.387 0.000
4.857 4.387 0.000
-1.761 0.000 5.042
Na Li Ga Si O
1 1 2 4 12
Direct
0.000 0.000 0.000
0.448 0.552 0.500
0.605 0.395 0.000
0.807 0.193 0.500
0.090 0.498 0.997
0.322 0.092 0.506
0.502 0.910 0.003
0.908 0.678 0.494
0.051 0.656 0.275
0.064 0.643 0.776
0.086 0.195 0.444
0.329 0.404 0.075
0.344 0.949 0.725
0.357 0.936 0.224
0.510 0.266 0.612
0.596 0.671 0.925
0.671 0.101 0.113
0.734 0.490 0.388
0.805 0.914 0.556
0.899 0.329 0.887
```


[4]
Calculated powder XRD pattern of Cd12In16Hg for a wavelength of 1.5418 Å, from a cell relaxed with GGA-PBE.
Kinematic intensities with the Lorentz-polarization factor, no thermal factor.

Main lines, most intense first (2θ = 5–70°):
two_theta, I (rel.)
33.40, 100
37.05, 31
40.41, 20
59.74, 14
31.44, 12
38.76, 12
59.65, 11
57.26, 7

Cell and atoms:
```
Cd12In16Hg
1.0
5.685 -8.062 0.000
........
## The entry goes on
Encouraged by her family, Kathleen pursued her artistic talents from an early age. “Back when I was young, my father would get me painting supplies,” she said. “He was a surgeon in Columbus (Indiana). I just piddled around with a lot of different things.”
After meeting and marrying her husband David while attending college in Missouri, Kathleen moved with him to Cleveland, Ohio, where the couple brought up three children. David became the Assistant Superintendent for the Cleveland Public Schools.
“While I was raising the kids I took watercolor classes in the evenings,” Mrs. Cox recalled. “I’d set up on the kitchen table. Then I was trying to upgrade my teaching certificate and I started taking classes. I took a painting class and found out I like to oil paint….When the kids got old enough I went back to school and got a nursing degree because I couldn’t find an elementary school teaching job at that time. I worked three years in a hospital and three years as a school nurse.”
When David retired in 1992, the Cox’s decided to move back to Indiana. “We were going to get a house at Grandview (Columbus) and there was nothing for sale. So we came over here (Nashville) for lunch and we thought we’d just look around,” Kathleen said. They found an ideal place with a full basement for studio space just off Artist Drive and moved in a few months later.
Mrs. Cox uses the basement/studio as many as three hours each day. “That doesn’t mean I’m always painting,” she laughs. “I do my own framing so that’s part of the time.” She orders frames and cuts her own mats.
Kathleen Cox has been an active member of the Brown County Art Gallery for the past three years and has participated in several juried exhibitions and shows. Her work has been included in the Hoosier Salon (’97, ’98); Indiana Heritage Arts (’93,’95,’97, 2002 merit award); Watercolor Society of Indiana (’98, 2000, signature member 2002); Waterway Art Association Show 2001 (Sunset Beach, North Carolina) and several shows at the Gallery. “Four Broads from Brown County,” a four-woman show at the John Waldron Art Center in 2000, attracted a Bloomington audience to view work by Shelly Frederick, Amanda Kirby and Peggy Brown, as well as Kathleen Cox.
In addition to a wide range of art instructors, Mrs. Cox enjoys painting in diverse locations. Her paintings, which can be representational or semi-abstract, depict scenes from Maine, Massachusetts, Colorado, Wyoming, Arizona, and of course Brown County, Indiana.
Kathleen Cox meets regularly with a group called “The Experimental Artists of Brown County” at the Brown County Art Gallery, to keep her ideas fresh and innovative. Founded by Sue St. John before she relocated to South Carolina, the group is comprised of artists Sandy Taylor, Rose McKay, Linda Meyer Wright, Carolyn Richards and Linda Sullivan. Mrs. Cox commented, “They bring in ideas for different techniques and let their imaginations run wild!”
Although she takes her work seriously and has received significant recognition for it, Mrs. Cox does not market her paintings and shies away from a printed ‘artist statement.’ “I printed one up when I had a show with Sue St. John. She had an artist statement and I thought I should print something up too. But I don’t remember what it says,” she admitted. Perhaps because she continues to be experimental, a definitive statement would cramp her style.
To see work by Kathleen Ryan Cox, visit the Brown County Art Gallery on the corner of Artist Drive and Main Street in Nashville. 812-988-4609.